The NEW livestream by SME FX: Counter market manipulation!!!


Apr 5, 2020
Dear Traders,

please see below the message from our CEO regarding our new website:

Dear Ladies and Gentlemen,

I finally had the time to sit down and to write this text (it is rather long.....I do apologize for that in advance!).

Let me say it right at the beginning:
this is a BIG DAY for you, for me and for US, the FX community!

I am finally able to present several projects I have been working on for a quite a while now and I am as excited as you are to get things rolling! I believe that 2020 will be a very special year for us all. The ones who are in closer contact with me know what I will finally present after all these years!

Also, I finally had some good ideas how I could make the 'impossible possible' in terms of access, this by thinking outside of the box and by creating feasible solutions to more complex problems........but I elaborate on that below.

But before we come to these "hot topics", let us first take a step back and look at my work in the past (this in chronological order). The following timeline helps to remind everyone of the work I have been doing over the last 4 years or so.
Please take a minute to go through it as it is important to understand the underlying evolution and developments:


1. Timeline


- I posted my first market causality video on the new 'forex reality' channel.
(today: more than 9000 views)
- I started live trade videos on the same channel.

- I started the big "The only thread you will ever need: FX EXPOSED" thread on forexfactory.

- I started the "Smart Money Elite FX" youtube channel (including educational videos).

- Continuation of youtube live trade videos.
- November 2018: forexfactory changes my status to "commercial" (this without my consent).
- Continuation of youtube live trade videos.
- Continuation of the big "The only thread you will ever need: FX EXPOSED" thread on forexfactory.
- Continuation of the "Smart Money Elite FX" youtube channel (including educational videos).
- I won an elite trading competition.
- First 'TRADER to TRADER' Podcast (with GeorgeAUS).
- I helped many traders face-to-face, this for free. Some received my daily live trade videos.
- I started to write my book on the MK.
- I received many requests for sth. which now is the MK livestream. I started to work on feasible solutions.
- I decided to put down some money so that things can be realized.
- Creation of the SME FX website (
- Creation of the SME FX forum (
- Creation of the MK livestreams.
- Creation of the "FX Market Watch" initiative.

- Offering small traders the option to receive limited but free livestream access in return for marketing efforts (see further below).
- My big thread reached more than 13,400 posts!

Wow, I did not even realize myself that so much time passed and how many things I have done along the way! I hope that this serves as a motivation for others to be persistent and to go all the way, too! In trading itself, that is the ONLY way to get ahead, I cannot emphasize that enough; really put in some serious efforts since otherwise, you will only lose like the majority of DM traders does, this day in and day out.
So as you can see, I now run a 4 year track record regarding my efforts to improve the FX industry, to expose market manipulation at the highest level, to help other traders in this game, to show my own trading live etc. I am not aware of other people who have WALKED a similiar WALK, also putting TRADERS FIRST! I have GIVEN a lot, and I have received a lot of "thank you" messages from the community as a result.
And yes, the market causality (MK) is the closest to the "holy grail" in FX one would ever get.

As it is known, this had never been done before; I was able to document SM market manipulation in FX day by day; on all major markets, in real detail. At the beginning, some people thought that this would all be made up; but after they were able to see with their own eyes, LIVE how the SM algos go after MTS (medium-term stops), DM positions, STS, LTS etc., the weight of the evidence just crushed any last doubts.
No one was ever able to show the FX market structure in such an accurate way and across the world people were able why they lose in FX, this again and again and no matter which strategy they employ.
The market causality represents the dream of FX traders around the world; and I also realized at some point that I should take the step and go beyond the things I had done for some years.

In particular, around a year ago I received more and more messages from people who asked me to create a product or service that would allow them to access the market structure directly. When I started my popular thread in 2018, that was not on my mind. Also, there were quite some technological barriers in place which would make any such endeavour rather difficult.
However, in the end I decided to go all the way and beyond; with the intention to offer people what they asked for. I put down some money and made things happen.

So to make a long story short, I took some of my money in my hands and worked hard to create what was requested by the community. Yes, it took much longer than expected (remember that I am a full-time trader!), but I am a person who prefers to first work on things properly rather than putting something half-baked out there. The current solution was in my eyes good enough to enable me to go ahead with this announcement. In the future, things will get even better, so please be patient with me.

As you can see, everything I built was built to last. One should always think in the long-term. Even as a short-term trader, your overall approach should respect the long-term. But that is another topic I guess.

MK = As close as you will ever get to the 'Holy Grail'
While it is well known that in FX there is no "holy grail", it is true that the market causality (MK) is as close as you will ever get to it; it contains truely LEADING information and is a solid response to the SM market manipulation everybody else falls victim to. We see MTS runs, positions runs, STS runs etc. every day and in an efficient manner.
I should also emphasize that the MK is valid INDEPENDENT from the 'market phase'; whether we are in a trend mode, consolidation mode etc. The principles capture on which factors you should focus in which market mode. The recent, turbulent market environment has proven that once more.
There are MANY ways of using the MK; i.e. some people will use it to trade manually, others to decide which EA to switch on or off. Some traders may use it to trade IR MTS runs, some will use it to ride day chart trends etc. Other entities may use it for hedging against FX exposure (without falling victim to the SM market manipulation).

However, let me remind you to also respect the MK. It is ESSENTIAL that you have invested sufficient hours in studying the MK before going live. There is a lot of free content out there (also check the links below!); so make use of it! If you follow that, trading will be FUN for you! Think about that perspective. You will be part of the minority who has understood how the FX structure actually works; when to trade and when to save your hard-earned cash. That is very powerful. The MK enables you to see, understand and exploit true CAUSALITIES in the FX market structure and traders who have already studied the MK realized how "blind" they are without it.

2. Feedback, Requests & Poll decisions from the Community
As it is known, I was always keen to conduct "community polls"; many of these can be found in my thread. The reason why these are so important is the following; individual members may do this or that statement, however, in the end, it is far more relevant what the MAJORITY thinks. As it can be seen, I have paid a lot of attention to which kind of opinions the COLLECTIVE expressed in these polls. Also, the polls make sure that individual members and trolls who may follow egoistic agendas are out-voted, something that has proven to be useful again and again in the past.

3. And here it finally is...............the new website!

I am proud to finally present the new SME FX website ( I have invested quite some time and money to create it. It is no secret that its creation has taken me much longer than expected; remember that I am and always will be first and foremost a TRADER; so basically this new project was something that I had to work on in my own, scarce, personal free-time (such as on weekends).
My intention was to make the website dynamic and cool while still being very functional and professional. Let me know what you think. As you can see, over time, more and more categories could be added. I am happy that the SME TEAM went all the way in the end! Kudos!

Understand that NO MATTER what happens to me, to SME or to our team, you will NEVER regret a single second you have invested in looking at the livestream. This is VERY IMPORTANT.
Because NOBODY ever can take away the TAPE READING you are conducting by watching the stream. The knowledge / experience / understanding you will gain by watching the stream is VERY VALUABLE and can be used to significantly impove WHATEVER you are doing in the markets! Be aware of that important reality!
It is highly unlikely that you will ever get such deep insights into the actual price making process again! Especially if you always have been on the 'buy side' only.



6. Paid Access (Commercial)

The commercial option that is on the website is a very attractive deal for corporates who hedge against FX exposures and for professional full-time traders.
Companies which are subject to FX exposure can assign one of their employees to use the shots and livestream in order to make better hedging decisions for their firm. That is WAY cheaper than hiring a trader, economist or 'expert', but companies need to know that this service really exists in the first place. It can literally save a firm millions because if they subscribe they are not forced to fall for the SM manipulation games anymore! They can make more informed decisions instead (i.e. by using the long-term charts to place positions against DM accumulations etc.). FX changes can make or break the net PL of a firm!
Professional traders
understand the value of the commercial option and have no problem paying a very reasonable price for a very unique access which will enable them to have an optimal setup and to finally counter SM market manipulation! The BUY SIDE strikes back!

7. The new Forum
I am particularly excited about the new SME FX forum. Please make use of it as it is time that there is a forum for more serious traders who do not want to waste their time with irrelevant discussions or bickering among frustrated rookies. The Code of Conduct will be applied without mercy; people who engage in internet libel will be quickly removed, people who do not follow the rules will no longer be part of the forum. Trolls will not stand a chance. The focus is on TRADERS, not brokers or other entities! The forum is nicely designed, clean and focused, you will get used to it quickly.
Finally, there is a FORUM FROM FX TRADERS FOR TRADERS! It was about time!
This forum is for trading WINNERS, not for frustrated LOSERS who have nothing better to do then letting their anger out on others! Those can stay on the already-existing websites (and discuss about "which music they listen to" while losing money).
We are doing now what many traders always wished for!
Be part of that new initiative!
Engage with other traders to get BETTER and to engage in MUTUAL learning; not to fight and pull each other down!

Inserted here: data records =
=====
Record 1
Below is a geometry-optimized ZnFeIrBr2 structure, with properties calculated at the PBE level.

Values from the calculation:
formation energy (no corrections): 0.753 eV/atom
symmetry: P4/mmm
E: -3.636 eV/atom
total moment: 4.2 μB/f.u.

Unit cell a=5.107 b=4.873 c=5.107 alpha=90.00 beta=90.00 gamma=90.00
Last column: magnetic moment on the atom in μB.
Element x y z (fractional)
Zn  0.500  0.500  0.500  0.09
Ir  0.000  0.000  0.000  0.37
Fe  0.000  0.500  0.000  3.31
Br  0.000  0.000  0.500  0.05
Br  0.500  0.000  0.000  0.04

---

Record 2
Below is a geometry-optimized KFe2Br structure, with properties calculated at the PBE level.

Values from the calculation:
formation energy (no corrections): 0.997 eV/atom
symmetry: Cmmm
E: -3.927 eV/atom
total moment: 6.1 μB/f.u.

Unit cell a=3.215 b=3.215 c=10.048 alpha=90.00 beta=90.00 gamma=120.86
Last column: magnetic moment on the atom in μB.
=====


9. Reporting Scams (i.e. broker scams, cyber crime, internet libel, market manipulation, etc.)

As I have explained in one of my videos, the FX industry of today in 2020 is subject to MANY scams; this across brokers, banks, marketers etc. It is time that we UNITE to do something about it!
I myself fell victim of a pretty big scam in 2019, but I do not elaborate further in this post (the ones who know me know what I am talking about).

Now, I have fought quite some battles in the past and I am not superman; I can neither do everything at the same time. My FOCUS will always be the MARKET CAUSALITY (MK) and trading, so please bear that in mind.
But, since nobody else seems to do something substantial regarding the above, I decided to add a complete scam reporting function on the SME website (called "FX Watch").
This will allow us to collect information on scam cases and to potentially assist in collective action WE TRADERS decide to undertake respectively. Again, the success of that initiative depends on YOUR participation and contributions, we HAVE to use our power as a COLLECTIVE in order to be able to bring scammers to justice or to change things for the better. Let's see how it goes!

10. My book

I am currently writing my first book on the market causality. It will include a complete structure regarding the content, trade examples and much more. However, again, my prioritized activity is and remains the TRADING itself, so the completion of the book will definitely take some time. So please be patient with me!

11. Star Trader Program (STP)
As you can see on the website, I plan to start the so-called "Star Trader Program". If you are a broker (we do not have contact with yet) and who is confident that you would qualify for the accreditation or the STP initiative, contact us via the 'report form'. Whether the STP will materialize in the end remains to be seen as it obviously depends on several factors.

12. Brokers

I am currently in negotiations with a low number of selected brokers that have gained my personal trust over the years. I will keep you updated (via the website) with regard to the announced broker accreditation initiative. And as always, the interests of US, the TRADERS will always be placed FIRST. So if you are a true bucket shop who trades against their own clients, do not bother, you will not pass the SME tests in the first place.

13. Dos & Donts (!)


- take your trading seriously
- put a realistic finance / time / IT plan in place (see video)
- use the new forum on the SME FX website
- use the FX Watch report forms
- read and understand the Disclaimer, CoC and Rules
- subscribe
- read this post carefully
- like & share the SME youtube videos / subscribe to the yt channels
- leave a testimonial if you are happy (via report form)
- study the thread, the videos, the podcasts etc.
- be constructive
- be positive rather than cynical
- be patient with me
- be part of this unique journey
- respect my privacy, respect my commitment
- respect the SME team
- understand that no matter what will happen in the future, the time you will have invested in stuyding and understanding the MK will NOT be lost; no one can take that "tape reading" and experience away from you EVER!
- play YOUR own role in this new MOVEMENT of FX TRADERS!


- miss the chance I have laid out for you (whether the FREE or paid options!)
- spread misinformation / gossip
- post MK screenshots from SME anywhere else
(you ARE allowed to post MK screenshots in the SME forum ONLY given that these are at least 2 full days old from the day posted)
- abuse the new SME forum
- use multiple usernames
- try to sell stuff without approval
- share the SME screenshots or breach the Code of Conduct otherwise
- be stingy when it comes to your professional trading setup
- be impatient
- violate the defined terms
- be cynical rather than positive
- be jealous of my can do it too!
- complain that you missed the "free livestream" deadline
- miss the chance to be part of this NEW MOVEMENT!

Understand that in case of breaches of rules / CoC you may get immediately banned (from the forum and / or livestream) and without further notice!
So please always behave in a reasonable manner!


15. Enjoy
Last but not least, please appreciate what I have done here. It was quite a trip! We live in a truely interesting time! The internet has changed the world forever and financial markets can no longer remain a 'secret engine in the basement'. We live in a time where computerization, robotization and algorithmization have taken over but in which information flows more and more easily across the globe. Accept the reality as it is and find the smartest way to respond to it! That is a principle that ANY trader should always respect.
I hereby offer you a feasible "solution" to the highly manipulated FX markets of today; this in a manner that has never been done before.
I do not say that to boost my ego but to make you aware that this here is a very unique project which could 'make history'. Whether the project will survive as a company or not remains to be seen; that also depends on YOUR own engagement! YES, YOU in front of the screen reading these lines right now! Do not believe that you do not matter, because you DO MATTER INDEED. Join this MOVEMENT I have started some years ago and play your own ROLE in it!
Together, we can CHANGE things and change them for the better. No powerful company, no matter how big; can compete against the WILL of MANY. So take ownership, contribute your little BIT in this arena and appreciate the work of others who have put down their time, money and energy to CHANGE things and to MOVE our community / the industry / society forwards.
Appreciate the ideas, creativity and willingness to implement that were necessary to finally realize SME FX!

16. Reminder

I will always be first and foremost a TRADER. As they say, 'once a trader always a trader'. I am excited how this new online project will develop. Let's see whether we will succeed in getting sufficient corporates in. The better things run, the more I am able to help where it is appropriate. A clear correlation. So support it!


Let us see how things go. In life, there is no guarantee for anything, but it is important that one tries to make things happen.
Nature loves courage.
You were able to witness my degree of persistence, competence, commitment and creativity in the last years.
I have certainly not been here since yesterday. I will now try to elevate things to the next level. You need to make a decision here.

Do YOU want to be part of this journey?
If the answer is 'yes', then prove it by becoming active.
The new, shiny forum is waiting for you.
In life, you will never regret extra-ordinary efforts to achieve what you want to achieve. Let;s rock this!

LOVE to ALL and stay safe,

31/03/ 2020



Stay safe,